Before using a mark or applying for a federal trademark registration, it is usually a good idea to first perform a search to determine if others are using the same or similar trademark to yours. The U.S. grants trademark rights based on use alone and not only on registration. Therefore, searching the USPTO trademark database alone is not sufficient to determine whether your mark is clear for use. As explained below, you need to have performed a comprehensive trademark search to be sure your proposed trademark is clear for use. You can think of trademark searching as insurance against the risk that someone will later assert the use of your mark infringes their prior rights, which may result in legal and name change costs.
The Problem with Not Searching
If you begin using your mark without searching, someone else may have superior rights in the same or similar name so that your use is an infringing use. If you are successfully sued by a trademark owner for using its trademark, you may be forced to stop using the trademark. Stopping the use of the mark could be expensive. Consider the need to change items having the mark, including advertisements, signs, letterhead, business cards, brochures, packaging, marked products, and your website. In addition, a court can hold a willful infringer liable for increased damages and require the infringer to pay the trademark owner attorney’s fees. In short, the risks of not searching include the hassle and expense of a name change and possible legal costs.
Rights Based on First Use, USPTO Approval is not Clearance
The trademark search should be a comprehensive search, which includes federal trademark registrations, state trademark registrations, and common law trademark usages. A broad search is needed because in the United States trademark rights can be obtained by use alone. A registration is not necessary for a person or entity to obtain trademark rights. Therefore, searching the U.S. Patent and Trademark Office (USPTO) trademark database is not sufficient to determine whether your use of a mark is clear. Someone could have gained superior rights in the mark by use without registering.
Common Law Trademark Rights
U.S. common law provides rights based on use because trademarks are designed to prevent consumer confusion. Therefore, in one example, the law grants rights to trademark users where the relevant purchasing public has come to recognize a particular trademark as representing a source of particular goods/service, even if that trademark is not registered. This rule protects consumers, but increases the search burden on companies because searching the USPTO database may not find all relevant uses of a mark.
Further, even if the USPTO grants you a trademark registration on your mark, that is no guarantee that you can use your mark. This is true because, as stated above in the U.S. trademark rights can be generated based on use alone without any registration. The USPTO will only check the USPTO database and will not check state databases, the internet, or common law usages to see if someone else has used the same or similar mark for the same or similar goods and service as you.
If a prior user has superior rights, in some circumstances, the prior user can seek to have your trademark registration canceled along with demanding you stop using the mark. In other circumstances, the prior user might have trademark rights in the geographic area that they were operating in before you registered. Such rights might prevent you from expanding to market and sell in that area. The only way to know that you are clear to use your mark throughout the U.S. is to have a comprehensive trademark search performed. Therefore, you cannot rely on the USPTO’s approval of your mark as clearance.
Further, it could take between six months and a year to obtain a trademark registration. See current trademark pendency times here. If you tried to rely on the USPTO’s approval, you would have a long wait time before you knew whether you could use your mark. This timeframe is too long for most companies wanting to launch a product or service with a name. Companies want to know quickly whether the chosen name is clear. If you have a comprehensive search preformed you will generally know within a few weeks or less whether it is clear to use the mark.
Comprehensive Searching
The comprehensive search should include direct hits (identical wording/characters) as well as marks that are similar or might lead to consumer confusion. This search frequently includes searching for homonyms, synonyms, phonetic equivalents, alternative spellings, anagrams, marks with similar components, and marks that start or end the same, or that have other similarities. A comprehensive search may look in federal and state trademark databases, online databases, trade directories, product catalogs, internet domain names, and the like. The goal is to find an actual use of the proposed mark, or a similar mark, whether or not it is officially registered.
While preliminary searching the USPTO database is not sufficient to determine whether a use of a mark is clear, it is a good first step. If during a preliminary search at the USPTO you find that the same or similar mark is registered for the same or similar goods, then you don’t need to go on with the comprehensive search. Instead you can go back to the drawing board and come up with a different name.
To determine whether there is a conflict between marks, courts use several factors, including the similarity of the marks and the similarity of the goods/services. The same or similar marks can co-exist in certain circumstances where the goods or services offered under the marks are sufficiently different. In other words, if the goods/services you intend to provide are sufficiently different from the goods/services offered by the registered trademark holder, then you might be able to use and register your mark without a conflict. Determining whether the difference between marks and between the goods/services is sufficiently different is very circumstance depended. You should consult with an attorney on this question when you find a similar mark.
You can perform preliminary trademark searching on your own at the USPTO:
- go to;
- select Trademarks;
- select Search Trademarks;
- then search for related trademarks by selecting Basic Word mark Search, or Word and/or Design Mark Search;
********
1.
The following is a simulated X-ray diffraction stick pattern of SrAgGe2. It was derived from a DFT-relaxed cell (GGA-PBE, Alexandria), using Cu Kα X-rays.
No peak broadening, texture or thermal motion is included.

Crystal structure
a = 14.635 Å, b = 4.488 Å, c = 11.475 Å
α = 90.00°, β = 90.00°, γ = 90.00°
Space group Pnma (No. 62)
One atom of each set of equivalent atoms:
1 Sr 0.050 0.250 0.244 (multiplicity 4)
2 Sr 0.204 0.750 0.518 (multiplicity 4)
3 Ag 0.057 0.250 0.948 (multiplicity 4)
4 Ag 0.198 0.750 0.816 (multiplicity 4)
5 Ge 0.038 0.250 0.527 (multiplicity 4)
6 Ge 0.113 0.250 0.725 (multiplicity 4)
7 Ge 0.130 0.750 0.037 (multiplicity 4)
8 Ge 0.212 0.750 0.231 (multiplicity 4)

The 6 most intense peaks (10 to 90 degrees two-theta), in order of rising 2θ:
| 2θ (°) | I/Imax | h k l |
| --- | --- | --- |
| 31.18 | 30 | 0 0 4 |
| 31.33 | 24 | 1 1 3 |
| 31.55 | 100 | 4 1 0 |
| 33.12 | 28 | 2 1 3 |
| 40.19 | 42 | 0 2 0 |
| 44.95 | 22 | 4 1 4 |


2.
The following is a simulated X-ray diffraction stick pattern of Sm5ThSc3. It was derived from a DFT-relaxed cell (GGA-PBE, Alexandria), using Cu Kα X-rays.
No peak broadening, texture or thermal motion is included.

Crystal structure
a = 14.723 Å, b = 11.454 Å, c = 9.684 Å
α = 90.00°, β = 130.48°, γ = 90.00°
Space group C2/m (No. 12)
One atom of each set of equivalent atoms:
1 Sm 0.000 0.247 0.000 (multiplicity 4)
2 Sm 0.130 0.248 0.747 (multiplicity 8)
3 Sm 0.235 0.000 0.239 (multiplicity 4)
4 Sm 0.249 0.000 0.589 (multiplicity 4)
5 Th 0.230 0.500 0.057 (multiplicity 4)
6 Sc 0.000 0.000 0.500 (multiplicity 2)
7 Sc 0.000 0.500 0.000 (multiplicity 2)
8 Sc 0.007 0.000 0.828 (multiplicity 4)
9 Sc 0.009 0.500 0.347 (multiplicity 4)

The 6 most intense peaks (10 to 90 degrees two-theta), in order of rising 2θ:
| 2θ (°) | I/Imax | h k l |
| --- | --- | --- |
| 22.20 | 96 | 2 2 0 |
| 29.94 | 64 | 2 2 1 |
| 31.24 | 100 | 0 4 0 |
| 32.79 | 96 | 1 1 -3 |
| 33.13 | 59 | 5 1 -3 |
| 35.70 | 67 | 4 2 0 |


3.
The following is a simulated X-ray diffraction stick pattern of Tb13Zn2. It was derived from a DFT-relaxed cell (GGA-PBE, Alexandria), using Cu Kα X-rays.
No peak broadening, texture or thermal motion is included.

Crystal structure
a = 6.650 Å, b = 8.431 Å, c = 8.875 Å
α = 65.87°, β = 79.01°, γ = 82.63°
Space group P-1 (No. 2)
One atom of each set of equivalent atoms:
1 Tb 0.000 0.000 0.000 (multiplicity 1)
2 Tb 0.123 0.476 0.730 (multiplicity 2)
3 Tb 0.194 0.236 0.148 (multiplicity 2)
4 Tb 0.240 0.946 0.574 (multiplicity 2)
5 Tb 0.308 0.660 0.968 (multiplicity 2)
6 Tb 0.357 0.412 0.391 (multiplicity 2)
7 Tb 0.492 0.860 0.207 (multiplicity 2)
8 Zn 0.058 0.767 0.382 (multiplicity 2)

The 6 most intense peaks (10 to 90 degrees two-theta), in order of rising 2θ:
| 2θ (°) | I/Imax | h k l |
| --- | --- | --- |
| 31.32 | 39 | 1 1 3 |
| 32.29 | 56 | -2 1 1 |
| 32.43 | 100 | 2 2 1 |
| 33.28 | 93 | 0 3 2 |
| 48.67 | 16 | 1 4 0 |
| 58.75 | 18 | -2 4 3 |


4.
********
- click on help button for more information on search methods and syntax.
Comprehensive trademark searching is an important step in determining whether a trademark is clear for use. Searching the USPTO trademark database is a good first step, but is not sufficient to determine whether the use is clear. This is true because trademark rights can be acquired by use alone, and unregistered uses will not be discovered by searching only the USPTO trademark database.